The Rajdhani Night Chart is a significant component of the popular online Matka betting platform. With its immense popularity and widespread use, it’s important to understand its relevance and how it contributes to the overall Matka gaming experience. In this article, we provide in-depth insights into the Rajdhani Night Chart, shedding light on its significance, gameplay strategies, and key factors to consider while engaging in online Matka betting.

Understanding the Rajdhani Night Chart:
The Rajdhani Night Chart forms an integral part of the online Matka betting system, specifically focusing on the night-time play. It serves as a visual representation of the game’s historical outcomes, displaying the opening and closing numbers, as well as the corresponding Jodi (couple) results. A comprehensive understanding of this chart is crucial for bettors aiming to make informed decisions and maximize their chances of winning.

Significance of the Rajdhani Night Chart:

........
(1)
Molecular formula: C3H6FNOS
Method: DFT, ωB97M-V/def2-TZVPD

CARTESIAN COORDINATES (ANGSTROEM)
C 0.76138 0.25570 1.19707
C 0.46317 -0.31182 -1.19880
C -1.04337 -0.56366 -1.28095
H 0.05082 1.92802 2.20346
H -0.01972 0.61220 3.24635
H 0.74123 0.02806 -2.24698
H 0.97750 -1.32720 -1.14516
H -1.27847 -1.40222 -1.83925
H -1.50272 -0.83937 -0.33401
N 0.87106 0.96167 2.39567
O 0.75244 -1.00125 1.15562
F -1.72800 0.51734 -1.87235
S 0.95468 1.14253 -0.28068

Values from the calculation:
Highest occupied orbital energy = -9.87 eV
Orbital gap = 10.006 eV
Total charge = 0
Total energy = -20296.0492 eV
Energy above the lowest of the compared OMol25 structures with the same formula, charge and spin = 64.8 kcal/mol

***

(2)
Molecular formula: C5H8N2
Method: DFT, ωB97M-V/def2-TZVPD

CARTESIAN COORDINATES (ANGSTROEM)
N 2.56610 2.86443 0.01631
C 1.62648 2.23979 0.28458
C 0.52769 1.38296 0.61800
C -0.44452 1.07501 -0.24631
C -1.35464 -0.08465 0.02141
C -0.60404 -1.40146 -0.32616
N 0.76546 -1.37472 0.17079
H 0.59605 0.86837 1.57268
H -0.48175 1.56397 -1.21841
H -1.63041 -0.10785 1.08114
H -2.28080 -0.02310 -0.56219
H -0.67607 -1.57184 -1.41121
H -1.12739 -2.23070 0.16007
H 1.13922 -2.30030 0.32392
H 1.37864 -0.89991 -0.48462

Values from the calculation:
Highest occupied orbital energy = -9.77 eV
Structure (SMILES) = N#C/C=C/CCN
Orbital gap = 10.314 eV
Total charge = 0
Total energy = -8293.8263 eV
Energy above the lowest of the compared OMol25 structures with the same formula, charge and spin = 27.0 kcal/mol

***

(3)
Molecular formula: C6H14ClFeN2O2
Method: DFT, ωB97M-V/def2-TZVPD

CARTESIAN COORDINATES (ANGSTROEM)
Fe -3.56893 -3.82356 -16.46358
Cl -3.10181 -3.22466 -14.14940
C -4.12241 -0.09853 -11.34668
C -2.57475 0.08456 -11.15916
O -2.08451 1.07734 -10.59690
N -1.85899 -0.82185 -11.74519
C -0.38606 -0.95994 -11.60120
H -4.37569 -0.29728 -12.38805
H -4.67037 0.70998 -10.86279
H -4.33752 -1.05430 -10.86882
H -2.22718 -1.47263 -12.42418
H -0.14099 -2.02101 -11.64777
H -0.09503 -0.38474 -10.72226
H 0.09900 -0.39160 -12.39480
C -1.47701 -4.27223 -10.41311
C -2.66724 -5.28575 -10.33609
O -2.65884 -6.32670 -9.65867
N -3.68758 -4.89404 -11.16934
C -4.79834 -5.73625 -11.40690
........
End of the molecular data:

  1. Analysis and prediction: The Rajdhani Night Chart empowers players to analyze past results and patterns. By studying historical data, players can identify potential trends, patterns, and opportunities within the game, enabling them to make calculated bets.
  2. Strategy development: The chart serves as a tool for players to develop their own unique strategies and betting plans. It aids in the formulation of effective approaches while choosing the right numbers or combinations to invest in. Consequently, bettors can make educated decisions based on the chart’s patterns, optimizing their gameplay experience.
  3. Chart interpretation: For beginners, interpreting the Rajdhani Night Chart might seem daunting initially. However, with careful observation and systematic analysis, players can decipher the chart’s information to make informed bets. Regular referencing to the chart enhances players’ familiarity with the game and its minute nuances.

Key Factors to Consider:

### Misplaced data records
ORCA calculation (ωB97M-V/def2-TZVPD) on 9 unconnected molecules or ions with the total composition C6H26NO8.

Molecular weight, g/mol: 240.273
Charge: -1
DFT total energy, Eh: -900.792176
Frontier orbital gap, eV: 8.09

XYZ file:
```
41
Properties=species:S:1:pos:R:3:forces:R:3
C -2.864852 -2.229061 -0.297777 -4.31 1.20 -5.28
O -3.670781 -3.110006 -0.559671 1.19 -0.15 1.62
C -3.199546 -0.880970 -1.057496 -2.94 0.11 0.70
C -2.147683 -0.124311 -1.773637 0.79 1.72 -2.28
C -0.910530 0.035361 -0.981232 1.39 0.69 0.85
C 0.101313 0.890526 -1.255018 0.98 -2.40 2.12
N 1.395072 0.750187 -0.595220 -0.85 2.22 -1.82
C 2.032686 2.058518 -0.293115 -0.57 -0.07 -0.39
H -1.943548 -2.297361 0.139240 2.44 -0.69 1.94
H -2.100871 -1.768542 2.470344 0.77 -0.03 -0.71
H -4.131718 -0.975211 -1.739631 1.62 -0.78 0.90
H -3.695391 -0.233169 -0.301413 0.72 -0.01 0.14
H -2.495686 0.924423 -2.112610 0.06 -1.41 0.66
H -1.884289 -0.573340 -2.779330 -0.38 -0.09 1.07
H -0.774938 -0.611189 -0.087395 0.13 0.35 -0.87
H 0.041625 1.614096 -2.057055 0.22 -0.53 -0.02
H 1.507912 0.094470 0.171841 -0.74 0.03 -0.27
H 1.411628 2.598537 0.448547 0.33 0.31 -0.75
H 2.936483 1.852892 0.226031 0.88 -0.17 0.42
H 2.351236 2.667658 -1.205852 -0.93 -0.82 0.95
H -1.842809 1.286469 2.389733 0.39 -0.91 -0.34
H -0.527754 2.156073 2.726610 -1.16 -0.66 -0.36
O -1.514925 2.122129 2.682369 0.96 1.54 0.65
H -2.583517 -1.764887 3.001259 -0.73 0.04 0.73
H 1.067815 -2.810760 0.964636 -2.57 2.75 0.60
O 0.344226 -2.062381 1.173592 2.88 -1.02 1.35
H 0.823579 -1.360471 -2.368535 -0.23 1.14 0.39
H 1.498424 -2.471414 -1.584416 0.49 0.28 0.90
O 1.076120 -2.264821 -2.411699 -0.34 -1.35 -1.42
H 2.941013 -0.945789 2.698237 5.24 -2.12 5.92
H 0.928818 -1.400515 1.801406 -1.05 -2.02 -1.70
O 2.393580 -0.732315 2.079973 -5.26 1.83 -6.23
H 2.641441 -1.531204 0.797075 -0.25 -1.43 -1.25
H 3.127903 -1.206940 -0.521669 -0.19 -0.86 -0.84
O 2.693093 -2.018994 -0.187712 1.16 2.12 2.17
H 2.121268 1.386767 3.483410 0.14 1.29 -1.49
H 2.217975 0.725946 2.179808 0.27 1.17 0.11
O 2.195577 1.729793 2.536793 -0.51 -1.99 1.98
H 0.120881 3.021873 -2.338997 -1.32 2.18 -0.86
H -1.332077 3.639452 -2.703781 1.87 0.05 0.09
O -0.348755 3.818484 -2.757643 -0.56 -1.51 0.65
```
Forces are in eV/Å.


Below is an isolated ion of composition C3H4NO and charge +1, with properties calculated with the ωB97M-V functional and the def2-TZVPD basis.

Output
**Calculated total energy**: -6701.77820 eV
**Relative energy (zero: lowest compared OMol25 entry of this formula, charge and spin)**: 66.7 kcal per mole
**HOMO-LUMO gap**: 7.59 eV

The geometry in ORCA input format:
```
! RIJCOSX wB97M-V def2-TZVPD def2/J DEFGRID3
* xyz 1 1
C 1.051 0.675 0.761
C 1.930 0.891 -0.397
C 0.060 -0.144 -0.912
N -0.014 0.051 0.429
O 1.188 0.444 -1.385
H 1.189 0.958 1.837
H 0.061 -1.146 -1.311
H -0.723 0.382 -1.428
H -0.708 -0.119 1.108
*
```

  1. Consistency and accuracy: Ensure you access the Rajdhani Night Chart from reliable and reputed Matka gaming platforms. The chart should be regularly updated with accurate information for effective analysis and strategizing.
  2. Historical data analysis: Pay attention to historical data trends, patterns, and the frequency of specific numbers or combinations appearing in the chart. This can help you identify potential winning numbers, improving your chances of success.
  3. Balancing risk and reward: Keep in mind that Matka betting, including the Rajdhani Night Chart, involves inherent risks. It is crucial to strike a balance between risks and potential rewards while placing your bets.

# Attached: data records
┌──
Entry 1:
A single C17H20N2O3S molecule at a distorted geometry. Source: the Open Molecules 2025 dataset; level of theory: ωB97M-V/def2-TZVPD.

Values from the calculation:
* M: 332.42 g/mol
* orbital gap: 8.95 eV
* SMILES string: CCOC(=O)c1sc(NC(=O)C[C@H](C)c2ccccc2)nc1C
* energy relative to the best compared isomer or geometry (same formula, charge and spin): 0.000 eV
* LUMO level: 0.24 eV
* highest occupied orbital energy: -8.713 eV
* total energy: -37912.9607 eV
* maximum force: 1.38 eV Å⁻¹

Geometry (Å):
C -6.8201 -0.1778 -0.5616
C -5.8035 0.8786 -0.1735
O -4.5197 0.2607 -0.0996
C -3.4756 1.0775 0.1005
O -3.5683 2.2773 0.2194
C -2.2303 0.3302 0.1592
S -2.2107 -1.4004 -0.0255
C -0.4656 -1.3330 0.2075
N 0.2443 -2.4914 0.1707
C 1.5921 -2.7446 0.4071
O 1.9674 -3.8908 0.3556
C 2.4685 -1.5615 0.6786
C 2.8367 -0.8539 -0.6452
C 3.8518 -1.6797 -1.4350
C 3.3566 0.5324 -0.3586
C 2.7115 1.6419 -0.8874
C 3.1723 2.9210 -0.6285
C 4.2906 3.1078 0.1648
C 4.9424 2.0081 0.6965
C 4.4778 0.7313 0.4379
N 0.0036 -0.1449 0.3971
C -0.9568 0.8063 0.3764
C -0.5810 2.2288 0.5650
H -6.8302 -0.9753 0.1764
H -7.8080 0.2698 -0.6169
H -6.5669 -0.6040 -1.5287
H -5.7630 1.6889 -0.9103
H -6.0384 1.3192 0.8024
H -0.2955 -3.3306 -0.0137
H 3.3739 -1.9177 1.1698
H 1.9445 -0.8554 1.3212
H 1.9250 -0.7541 -1.2418
H 4.0452 -1.2144 -2.3990
H 4.7930 -1.7522 -0.8959
H 3.4750 -2.6861 -1.6010
H 1.8366 1.5015 -1.5053
H 2.6570 3.7738 -1.0462
H 4.6527 4.1047 0.3685
H 5.8161 2.1462 1.3169
H 4.9952 -0.1160 0.8630
H 0.4117 2.2868 1.0020
H -0.5731 2.7381 -0.3978
H -1.3133 2.7320 1.1909


Entry 2:
A molecular structure, C25H34N10O2PRuS2 at a distorted geometry. Source: the Open Molecules 2025 dataset; level of theory: ωB97M-V/def2-TZVPD.

Values from the calculation:
* expectation value of S²: 8.769
* M: 702.79 g/mol
* orbital gap (alpha / beta): 6.42 / 6.06 eV
* energy relative to the best compared isomer or geometry (same formula, charge and spin): 2.220 eV
* LUMO level (alpha / beta): -5.09 / -6.70 eV
* highest occupied orbital energy (alpha / beta): -11.510 / -12.768 eV
* total energy: -78996.3909 eV
* spin multiplicity: 6
* maximum force: 5.91 eV Å⁻¹
* charge: +2

Geometry (Å):
Ru -0.0479 0.4630 0.5763
C -4.4889 1.1996 3.7743
N -3.6132 1.5452 2.7096
C -3.5393 2.6774 1.8914
C -2.5650 2.5155 0.9816
N -1.9684 1.2519 1.1920
C -2.6120 0.6671 2.2354
P -2.0031 -0.7744 3.1822
C -1.6959 -1.8473 1.7945
N -1.2805 -1.3480 0.6234
C -1.5755 -2.3379 -0.3695
C -2.0393 -3.4453 0.2970
N -2.0941 -3.1556 1.6695
C -2.6099 -3.9739 2.7816
C -0.3177 -0.3024 3.5547
N 0.5031 0.1290 2.5503
C 1.7297 0.4346 3.1926
C 1.6101 0.2587 4.5373
N 0.3343 -0.2866 4.8118
C -0.2018 -0.4434 6.1522
H -4.3261 1.7611 4.7350
H -4.3173 0.1033 4.0809
H -5.5856 1.3679 3.4862
H -4.2050 3.4682 1.9930
H -2.1619 3.1492 0.1893
H -1.5890 -2.0780 -1.4276
H -2.3444 -4.3747 -0.0973
H -2.4225 -5.0358 2.6544
H -3.6758 -3.8525 2.8922
H -2.1749 -3.5883 3.7404
H 2.5391 0.8443 2.5709
H 2.2973 0.4065 5.3572
H 0.0192 0.4298 6.8060
H 0.2380 -1.3823 6.6046
└──

The Rajdhani Night Chart is a key aspect of online Matka betting, providing valuable insights into historical results, patterns, and trends. By thoroughly understanding the chart and utilizing it effectively, bettors can enhance their gameplay, make informed bets, and potentially increase their chances of winning. Remember to approach Matka betting responsibly and within your financial limits to ensure a safe and enjoyable gaming experience.